What to do >
Type out everything further down character by character, please.
Source >
=====
Diffraction record for SrMg. The XRD peak list is computed, not measured: it uses a crystal structure in the Materials Project, relaxed with GGA-PBE and a wavelength of 1.5418 Å.
No peak broadening, texture or thermal motion is included.

Peak list (10 most intense, 5 to 70 degrees two-theta, in order of rising 2θ)
Position (°2θ), I/Imax
19.28, 19.8
25.81, 30.0
26.43, 26.1
29.69, 35.3
29.84, 100.0
32.76, 41.1
39.74, 18.9
43.34, 18.0
52.78, 19.6
55.37, 17.9

Structure:
```
data_SrMg
_cell_length_a 6.018
_cell_length_b 4.176
_cell_length_c 18.410
_cell_angle_alpha 90.00
_cell_angle_beta 90.00
_cell_angle_gamma 90.00
_symmetry_space_group_name_H-M 'A m m 2'
_symmetry_Int_Tables_number 38
loop_
_symmetry_equiv_pos_as_xyz
'x,y,z'
'-x,-y,z'
'-x,y,z'
'x,-y,z'
'x,y+1/2,z+1/2'
'-x,-y+1/2,z+1/2'
'-x,y+1/2,z+1/2'
'x,-y+1/2,z+1/2'
loop_
_atom_site_label
_atom_site_fract_x
_atom_site_fract_y
_atom_site_fract_z
Sr1 0.000 0.000 0.000
Sr2 0.000 0.000 0.316
Sr3 0.500 0.000 0.554
Mg1 0.000 0.000 0.659
Mg2 0.500 0.000 0.215
Mg3 0.500 0.000 0.875
```

~~~~~

(1)
For Er2Si2O7, a GGA-PBE-relaxed structure gives the calculated X-ray powder pattern in this record (Cu Kα X-rays).

Top 10 peaks for 10 to 90 degrees two-theta, sorted by position:
d 4.941, 17.95 deg, I = 33, (0 1 1)
d 4.720, 18.80 deg, I = 43, (1 0 0)
d 4.326, 20.53 deg, I = 27, (1 1 0)
d 3.260, 27.36 deg, I = 57, (1 1 1)
d 3.112, 28.68 deg, I = 100, (1 2 -1)
d 3.023, 29.54 deg, I = 32, (0 3 1)
d 2.690, 33.30 deg, I = 32, (0 1 2)
d 2.480, 36.21 deg, I = 27, (1 3 1)
d 2.203, 40.96 deg, I = 21, (1 4 -1)
d 2.087, 43.36 deg, I = 20, (2 2 -1)

Crystal structure
abc: 4.748 10.812 5.589
angles: 90.00 96.21 90.00
Space group P2_1/c (No. 14)
One atom of each set of equivalent atoms:
Er: 0.109 0.151 0.408
Si: 0.360 0.612 0.645
O: 0.123 0.684 0.459
O: 0.203 0.550 0.867
O: 0.380 0.203 0.745
O: 0.500 0.000 0.000

***

(2)
For Zn2FeS3, a GGA-PBE-relaxed structure gives the calculated X-ray powder pattern in this record (Cu Kα X-rays).

Top 9 peaks for 10 to 90 degrees two-theta, sorted by position:
d 3.135, 28.47 deg, I = 100, (1 0 1)
d 2.715, 33.00 deg, I = 10, (1 3 0)
d 1.920, 47.36 deg, I = 61, (2 0 0)
d 1.637, 56.19 deg, I = 40, (0 3 3)
d 1.567, 58.93 deg, I = 3, (2 0 2)
d 1.357, 69.22 deg, I = 9, (2 6 0)
d 1.246, 76.47 deg, I = 15, (2 3 3)
d 1.214, 78.84 deg, I = 3, (1 3 4)
d 1.108, 88.15 deg, I = 19, (3 3 2)

Crystal structure
abc: 3.838 11.519 5.430
angles: 90.00 90.00 90.00
Space group Imm2 (No. 44)
One atom of each set of equivalent atoms:
Zn: 0.000 0.167 0.000
Fe: 0.000 0.500 0.001
S: 0.000 0.000 0.253
S: 0.000 0.335 0.247

***

(3)
For NaCe3GeS7, a GGA-PBE-relaxed structure gives the calculated X-ray powder pattern in this record (Cu Kα X-rays).

Top 10 peaks for 10 to 90 degrees two-theta, sorted by position:
d 4.454, 19.94 deg, I = 32, (2 0 0)
d 3.866, 23.00 deg, I = 33, (1 1 1)
d 3.547, 25.11 deg, I = 100, (2 0 1)
d 3.367, 26.48 deg, I = 24, (2 1 0)
d 2.571, 34.89 deg, I = 37, (2 2 0)
d 2.470, 36.37 deg, I = 38, (3 1 0)
d 2.449, 36.70 deg, I = 35, (2 0 2)
d 2.277, 39.59 deg, I = 34, (1 3 1)
d 2.211, 40.81 deg, I = 30, (2 1 2)
d 1.932, 47.05 deg, I = 26, (2 2 2)

Crystal structure
abc: 10.2850 10.2850 5.8641
angles: 90.00 90.00 120.00
Space group P6_3 (No. 173)
One atom of each set of equivalent atoms:
Na: 0.0000 0.0000 0.0000
Ce: 0.1275 0.7671 0.2297
Ge: 0.3333 0.6667 0.6467
S: 0.0916 0.8333 0.7526
S: 0.1055 0.5195 0.4906
S: 0.3333 0.6667 0.0246

***

(4)
For K2SbAuCl6, a GGA-PBE-relaxed structure gives the calculated X-ray powder pattern in this record (Cu Kα X-rays).

Top 10 peaks for 10 to 90 degrees two-theta, sorted by position:
d 5.350, 16.57 deg, I = 100, (2 0 0)
d 3.783, 23.51 deg, I = 99, (2 2 0)
d 2.675, 33.50 deg, I = 71, (4 0 0)
d 2.393, 37.59 deg, I = 53, (4 2 0)
d 2.184, 41.33 deg, I = 46, (4 2 2)
d 1.892, 48.10 deg, I = 48, (4 4 0)
d 1.783, 51.22 deg, I = 27, (6 0 0)
d 1.692, 54.21 deg, I = 21, (6 2 0)
d 1.430, 65.25 deg, I = 24, (6 4 2)
=====
Outcome >
Diffraction record for SrMg. The XRD peak list is computed, not measured: it uses a crystal structure in the Materials Project, relaxed with GGA-PBE and a wavelength of 1.5418 Å.
No peak broadening, texture or thermal motion is included.

Peak list (10 most intense, 5 to 70 degrees two-theta, in order of rising 2θ)
Position (°2θ), I/Imax
19.28, 19.8
25.81, 30.0
26.43, 26.1
29.69, 35.3
29.84, 100.0
32.76, 41.1
39.74, 18.9
43.34, 18.0
52.78, 19.6
55.37, 17.9

Structure:
```
data_SrMg
_cell_length_a 6.018
_cell_length_b 4.176
_cell_length_c 18.410
_cell_angle_alpha 90.00
_cell_angle_beta 90.00
_cell_angle_gamma 90.00
_symmetry_space_group_name_H-M 'A m m 2'
_symmetry_Int_Tables_number 38
loop_
_symmetry_equiv_pos_as_xyz
'x,y,z'
'-x,-y,z'
'-x,y,z'
'x,-y,z'
'x,y+1/2,z+1/2'
'-x,-y+1/2,z+1/2'
'-x,y+1/2,z+1/2'
'x,-y+1/2,z+1/2'
loop_
_atom_site_label
_atom_site_fract_x
_atom_site_fract_y
_atom_site_fract_z
Sr1 0.000 0.000 0.000
Sr2 0.000 0.000 0.316
Sr3 0.500 0.000 0.554
Mg1 0.000 0.000 0.659
Mg2 0.500 0.000 0.215
Mg3 0.500 0.000 0.875
```

~~~~~

(1)
For Er2Si2O7, a GGA-PBE-relaxed structure gives the calculated X-ray powder pattern in this record (Cu Kα X-rays).

Top 10 peaks for 10 to 90 degrees two-theta, sorted by position:
d 4.941, 17.95 deg, I = 33, (0 1 1)
d 4.720, 18.80 deg, I = 43, (1 0 0)
d 4.326, 20.53 deg, I = 27, (1 1 0)
d 3.260, 27.36 deg, I = 57, (1 1 1)
d 3.112, 28.68 deg, I = 100, (1 2 -1)
d 3.023, 29.54 deg, I = 32, (0 3 1)
d 2.690, 33.30 deg, I = 32, (0 1 2)
d 2.480, 36.21 deg, I = 27, (1 3 1)
d 2.203, 40.96 deg, I = 21, (1 4 -1)
d 2.087, 43.36 deg, I = 20, (2 2 -1)

Crystal structure
abc: 4.748 10.812 5.589
angles: 90.00 96.21 90.00
Space group P2_1/c (No. 14)
One atom of each set of equivalent atoms:
Er: 0.109 0.151 0.408
Si: 0.360 0.612 0.645
O: 0.123 0.684 0.459
O: 0.203 0.550 0.867
O: 0.380 0.203 0.745
O: 0.500 0.000 0.000

***

(2)
For Zn2FeS3, a GGA-PBE-relaxed structure gives the calculated X-ray powder pattern in this record (Cu Kα X-rays).

Top 9 peaks for 10 to 90 degrees two-theta, sorted by position:
d 3.135, 28.47 deg, I = 100, (1 0 1)
d 2.715, 33.00 deg, I = 10, (1 3 0)
d 1.920, 47.36 deg, I = 61, (2 0 0)
d 1.637, 56.19 deg, I = 40, (0 3 3)
d 1.567, 58.93 deg, I = 3, (2 0 2)
d 1.357, 69.22 deg, I = 9, (2 6 0)
d 1.246, 76.47 deg, I = 15, (2 3 3)
d 1.214, 78.84 deg, I = 3, (1 3 4)
d 1.108, 88.15 deg, I = 19, (3 3 2)

Crystal structure
abc: 3.838 11.519 5.430
angles: 90.00 90.00 90.00
Space group Imm2 (No. 44)
One atom of each set of equivalent atoms:
Zn: 0.000 0.167 0.000
Fe: 0.000 0.500 0.001
S: 0.000 0.000 0.253
S: 0.000 0.335 0.247

***

(3)
For NaCe3GeS7, a GGA-PBE-relaxed structure gives the calculated X-ray powder pattern in this record (Cu Kα X-rays).

Top 10 peaks for 10 to 90 degrees two-theta, sorted by position:
d 4.454, 19.94 deg, I = 32, (2 0 0)
d 3.866, 23.00 deg, I = 33, (1 1 1)
d 3.547, 25.11 deg, I = 100, (2 0 1)
d 3.367, 26.48 deg, I = 24, (2 1 0)
d 2.571, 34.89 deg, I = 37, (2 2 0)
d 2.470, 36.37 deg, I = 38, (3 1 0)
d 2.449, 36.70 deg, I = 35, (2 0 2)
d 2.277, 39.59 deg, I = 34, (1 3 1)
d 2.211, 40.81 deg, I = 30, (2 1 2)
d 1.932, 47.05 deg, I = 26, (2 2 2)

Crystal structure
abc: 10.2850 10.2850 5.8641
angles: 90.00 90.00 120.00
Space group P6_3 (No. 173)
One atom of each set of equivalent atoms:
Na: 0.0000 0.0000 0.0000
Ce: 0.1275 0.7671 0.2297
Ge: 0.3333 0.6667 0.6467
S: 0.0916 0.8333 0.7526
S: 0.1055 0.5195 0.4906
S: 0.3333 0.6667 0.0246

***

(4)
For K2SbAuCl6, a GGA-PBE-relaxed structure gives the calculated X-ray powder pattern in this record (Cu Kα X-rays).

Top 10 peaks for 10 to 90 degrees two-theta, sorted by position:
d 5.350, 16.57 deg, I = 100, (2 0 0)
d 3.783, 23.51 deg, I = 99, (2 2 0)
d 2.675, 33.50 deg, I = 71, (4 0 0)
d 2.393, 37.59 deg, I = 53, (4 2 0)
d 2.184, 41.33 deg, I = 46, (4 2 2)
d 1.892, 48.10 deg, I = 48, (4 4 0)
d 1.783, 51.22 deg, I = 27, (6 0 0)
d 1.692, 54.21 deg, I = 21, (6 2 0)
d 1.430, 65.25 deg, I = 24, (6 4 2)